
NATS Protocols

This section of the documentation contains the reference documentation for the NATS wire protocols including the following:

  • Client - The protocol used between a client and server.
    • JetStream - The JSON API on top of the client protocol used for Streaming, Key-Value, and Object Store.
  • Cluster - The protocol used between servers within a cluster.
  • Gateway - The protocol used between two clusters.
  • Leafnode - The protocol used between a server and a leafnode.


All NATS wire protocols are text-based and follow a standard structure.

=====
1.
Entry from the Open Molecules 2025 dataset: C27H35As2IrN3O3S as an isolated structure (ωB97M-V/def2-TZVPD).

CARTESIAN COORDINATES (ANGSTROEM)
Ir  0.0969  -1.0004  0.0952
O  -1.8588  -2.6836  -3.7798
C  -2.4082  -1.5064  -4.1410
C  -3.2682  -1.5230  -5.2363
C  -3.8649  -0.3570  -5.6624
C  -3.6232  0.8584  -5.0125
C  -2.7801  0.8860  -3.9322
C  -2.1570  -0.2913  -3.4675
C  -1.3050  -0.2442  -2.2959
O  -0.7782  -1.3340  -1.8514
N  -1.0790  0.9563  -1.7274
N  -0.3493  0.9125  -0.6147
C  0.0079  2.0895  -0.1709
C  0.8859  2.3992  0.9294
C  1.5934  3.6037  0.8258
C  2.6212  3.9093  1.6838
C  2.9737  2.9935  2.6807
C  2.2087  1.8786  2.8338
N  1.1469  1.6045  2.0182
H  -1.2531  -2.5191  -3.0369
H  -3.4435  -2.4654  -5.7367
H  -4.5289  -0.3850  -6.5165
H  -4.0976  1.7650  -5.3596
H  -2.5815  1.8111  -3.4115
H  -0.3055  2.9334  -0.7744
H  1.3392  4.2657  0.0096
H  3.1663  4.8373  1.5742
H  3.8018  3.1697  3.3508
H  2.3843  1.1833  3.6364
C  1.2608  -4.0689  2.0877
As  0.3914  -3.3612  0.5119
C  -1.1946  -4.4451  0.3586
C  1.4994  -3.9299  -0.9680
C  1.5408  -5.2421  -1.4205
C  2.3113  -5.5664  -2.5302
C  3.0408  -4.5860  -3.1868
C  3.0161  -3.2743  -2.7309
C  2.2448  -2.9526  -1.6229
As  2.2110  -1.1912  -0.8540
C  2.6062  0.0931  -2.2302
C  3.7341  -1.1600  0.3340
H  1.4366  -5.1344  1.9488
H  0.6206  -3.9217  2.9565
H  2.2130  -3.5675  2.2483
H  -0.9264  -5.4921  0.4906
H  -1.6313  -4.2928  -0.6260
H  -1.9058  -4.1432  1.1235
H  0.9684  -6.0181  -0.9270
H  2.3355  -6.5872  -2.8870
H  3.6307  -4.8418  -4.0565
H  3.5930  -2.5171  -3.2481
H  3.6288  -0.0424  -2.5790
H  2.4957  1.0931  -1.8145
H  1.9104  -0.0383  -3.0570
H  4.6270  -1.4492  -0.2191
H  3.5663  -1.8698  1.1414
H  3.8674  -0.1599  0.7449
C  0.5488  -0.3115  3.6044
C  0.1154  0.6605  2.5444
O  -1.0153  0.8389  2.2153
H  0.6860  0.2126  4.5527
H  1.4653  -0.8412  3.3493
H  -0.2679  -1.0171  3.7296
C  -3.7962  -2.4195  -0.6811
S  -2.8086  -1.3039  0.3298
C  -3.9121  -1.0436  1.7290
H  -4.0331  -3.3378  -0.1458
H  -3.2301  -2.6596  -1.5793
H  -4.7124  -1.9075  -0.9687
H  -4.8673  -0.6732  1.3616
H  -3.4615  -0.2886  2.3676
H  -4.0659  -1.9631  2.2910

Its max |F| is 0.0248 hartree/bohr. As for the spin multiplicity: 2. The expectation value of S² is 0.754. The total charge is +2. The frontier orbital gap (spin up / spin down) is 5.64 / 5.60 eV. The molecular weight comes out at 823.72 g mol⁻¹. For the calculated total energy, the calculation gives -6413.3735 a.u.



2.
Entry from the Open Molecules 2025 dataset: an isolated ion of composition C8H12FO2 and charge -1 (ωB97M-V/def2-TZVPD).

CARTESIAN COORDINATES (ANGSTROEM)
C  -0.2956  -1.3000  -1.5351
C  0.4321  -0.1299  -0.7635
C  0.2998  1.1028  -1.5807
C  0.4420  -0.1598  0.7741
C  -0.4072  -1.0841  1.6424
C  0.6023  1.1737  1.6065
C  1.6464  -0.5376  -0.0326
F  1.8531  -2.0606  -0.1884
C  3.0562  0.3459  -0.0297
O  4.0641  -0.2681  0.2708
O  2.8330  1.5310  -0.2637
H  -0.4096  -2.2485  -0.9284
H  0.3169  -1.5859  -2.4213
=====

Control Line with Optional Content

Each interaction between the client and server consists of a control, or protocol, line of text followed, optionally by message content. Most of the protocol messages don't require content, only PUB, MSG, HPUB, and HMSG include payloads.

Field Delimiters

The fields of NATS protocol messages are delimited by whitespace characters (space) or (tab). Multiple whitespace characters will be treated as a single field delimiter.


NATS uses followed by (␍␊, 0x0D0A) to terminate protocol messages. This newline sequence is also used to mark the end of the message payload in PUB, MSG, HPUB, and HMSG protocol messages.

Data records, kept here for reference.
+++
{
  "formula": "C49H43BrN5O6SSiTi",
  "method": "ωB97M-V with the def2-TZVPD basis set",
  "homo_ev": [-7.0, -7.4],
  "multiplicity": 2,
  "relative_energy_ev": 0.2310,
  "total_charge": 0,
  "gap_ev": [6.00, 6.34],
  "species": ["Ti", "O", "C", "O", "C", "C", "C", "C", "C", "N", "C", "O", "O", "H", "H", "H", "H", "C", "C", "N", "C", "C", "C", "S", "N", "C", "O", "C", "C", "C", "C", "C", "C", "H", "H", "H", "H", "H", "H", "H", "H", "H", "H", "H", "H", "H", "H", "H", "Br", "C", "C", "C", "C", "C", "C", "N", "C", "C", "C", "C", "C", "C", "N", "H", "H", "H", "H", "H", "H", "H", "H", "H", "O", "Si", "C", "C", "C", "C", "C", "C", "C", "C", "C", "C", "C", "C", "C", "C", "C", "C", "C", "C", "H", "H", "H", "H", "H", "H", "H", "H", "H", "H", "H", "H", "H", "H", "H"],
+++

Subject names

Subject names, including reply subject names, are case-sensitive and must be non-empty alphanumeric strings with no embedded whitespace. All ascii alphanumeric characters except spaces/tabs and separators which are . and > are allowed. Subject names can be optionally token-delimited using the dot character (.), e.g.:

FOO, BAR,, foo.BAR, FOO.BAR and FOO.BAR.BAZ are all valid subject names

FOO. BAR, foo. .bar are not valid subject names

A subject is comprised of 1 or more tokens. Tokens are separated by . and can be any non space ascii alphanumeric character. The full wildcard token > is only valid as the last token and matches all tokens past that point. A token wildcard, * matches any token in the position it was listed. Wildcard tokens should only be used in a wildcard capacity and not part of a literal token.

Character Encoding

Subject names should be ascii characters for maximum interoperability. Due to language constraints and performance, some clients may support UTF-8 subject names, as may the server. No guarantees of non-ASCII support are provided.


NATS supports the use of wildcards in subject subscriptions.

-- Records of molecules from another source follow --
Density functional theory data (ωB97M-V/def2-TZVPD) for 3 unconnected molecules or ions with the total composition C21H41BF3O6 at a distorted geometry.

Last column: Löwdin charge in e.
Cartesian coordinates (Å):
C 1.61395 -4.92681 2.18214  0.0109
C 1.98708 -4.25361 0.90374  -0.4915
O 1.46839 -4.53066 -0.15668  0.1271
O 3.01985 -3.34233 0.99503  0.0682
C 2.80581 -2.06277 0.44226  -0.3795
O 3.11281 -1.85041 -0.71219  0.1416
C 2.29375 -1.00865 1.36967  -0.0377
C 0.91758 -0.45544 0.92678  -0.3320
C -0.04506 -0.17962 2.15565  -0.1801
O -1.22762 -0.84590 1.85229  -0.0447
B -0.69881 -1.96135 1.03601  -0.7103
C -1.70561 -3.09955 0.44389  -0.0213
C -3.16464 -2.69002 0.24650  -0.3108
O -3.35637 -1.33028 -0.05496  0.0174
C -4.04150 -3.03647 1.42063  -0.5800
F -3.95500 -4.34337 1.74905  0.1256
F -3.72568 -2.31877 2.50189  0.1589
F -5.35242 -2.81756 1.14753  0.1159
O 0.21989 -1.27882 0.08030  0.0049
H 2.50171 -5.10053 2.78110  0.0813
H 0.93773 -4.29556 2.73853  0.0723
H 1.12720 -5.85417 1.93566  0.0824
H 2.21056 -1.45227 2.35312  0.1082
H 3.03160 -0.22247 1.41315  0.1231
H 1.14170 0.50444 0.45907  0.1308
H -0.15839 0.90216 2.21015  0.0996
H 0.33339 -0.59655 3.08706  0.1107
H 0.08118 -2.56769 1.83366  0.1172
H -1.32955 -3.37254 -0.53758  0.1029
H -1.64593 -3.99253 1.04698  0.0919
H -3.57636 -3.28021 -0.57478  0.1474
H -3.10331 -1.20031 -0.96354  0.1023
C -4.64875 0.86131 2.79518  -0.0994
C -4.10661 1.81505 1.73710  -0.2550
C -2.69533 2.30955 2.04246  -0.2161
C -2.55842 3.11940 3.33253  -0.2263
C -3.44313 4.36263 3.41507  -0.2766
C -3.13929 5.39739 2.33530  -0.1195
H -4.74539 1.34281 3.77185  0.0619
H -5.63672 0.49365 2.51071  0.0703
H -3.98697 0.00232 2.89791  0.0623
H -4.79425 2.66002 1.61090  0.0928
H -4.08193 1.29231 0.77867  0.0984
H -2.33715 2.90606 1.19690  0.1059
H -2.03047 1.44300 2.10056  0.0770
H -1.51143 3.42229 3.44190  0.1062
H -2.77429 2.47566 4.18963  0.1020
H -3.29931 4.82688 4.39580  0.0982
H -4.49786 4.07928 3.36377  0.0954
H -2.09693 5.71920 2.38784  0.0708
H -3.76925 6.28114 2.45766  0.0623
H -3.32163 4.99998 1.33629  0.0636
C 1.88468 0.30086 -3.13356  -0.0988
C 3.18592 -0.32837 -3.62011  -0.2683
C 4.40952 0.55928 -3.40662  -0.2268
C 4.38378 1.89207 -4.15767  -0.2340
C 4.23264 1.77454 -5.67287  -0.2758
C 5.38511 1.03164 -6.34277  -0.1183
H 1.64805 1.21843 -3.67975  0.0612
H 1.05079 -0.38727 -3.26834  0.0756
H 1.94365 0.53758 -2.07054  0.0667
H 3.09278 -0.59788 -4.67811  0.0967
H 3.34014 -1.26084 -3.07802  0.0863
H 5.30746 -0.00020 -3.68756  0.0994
H 4.50968 0.76636 -2.33702  0.1098
H 5.30910 2.43568 -3.93569  0.1046
H 3.57140 2.51254 -3.76962  0.0994
H 4.17278 2.78259 -6.09428  0.0994
H 3.28799 1.28416 -5.92025  0.0971
H 6.33812 1.52344 -6.13489  0.0706
H 5.25082 1.00634 -7.42590  0.0639
H 5.45272 -0.00023 -5.99661  0.0642

## Properties
frontier orbital gap	7.76	eV
strongest force on any atom	0.054	hartree/bohr
net charge	-1
2S+1	1

=====

Density functional theory data (ωB97M-V/def2-TZVPD) for a molecular structure, C21H42AgN9O3P3S5Sb.
-- Back to the page --

  • The asterisk character (*) matches a single token at any level of the subject.
  • The greater than symbol (>), also known as the full wildcard, matches one or more tokens at the tail of a subject, and must be the last token. The wildcarded subject foo.> will match or, but not foo.
  • Wildcards must be a separate token (foo.*.baz or foo.> are syntactically valid; foo*.bar, f*o.b*r and foo> are not)

For example, the wildcard subscriptions foo.*.quux and foo.> both match, but only the latter matches With the full wildcard, it is also possible to express interest in every subject that may exist in NATS: sub > 1, limited of course by authorization settings.
